Contents:
~~~
# 1
Below is C63H53N7SSi2Ti as an isolated structure, with properties calculated with the ωB97M-V functional and the def2-TZVPD basis.

Relative energy (zero: lowest compared OMol25 entry of this formula, charge and spin)   0.0 kcal per mole
2S+1   2
E_HOMO (alpha / beta)   -0.1083 / -0.1123 Eh
Frontier orbital gap (alpha / beta)   5.1298 / 5.2346 eV
Charge   -1
DFT total energy   -126332.31475 eV
Max |F|   0.72 eV Å⁻¹

```
127
Properties=species:S:1:pos:R:3:forces:R:3:lowdin_charge:R:1
Ti 0.444983 -0.311659 0.494287 0.4 0.5 -0.2 0.85
C 3.455090 -3.944819 6.716852 0.0 0.0 0.0 -0.11
C 2.539347 -4.613820 5.914822 0.0 0.0 0.0 -0.09
C 2.034787 -4.005958 4.775057 0.0 0.0 0.0 -0.04
C 2.431060 -2.717423 4.414344 0.0 0.0 0.0 -0.19
C 3.342216 -2.053597 5.233243 0.0 0.0 0.0 -0.04
C 3.855778 -2.662779 6.370347 0.0 0.0 0.0 -0.09
C 1.866397 -2.066668 3.205731 -0.1 0.0 0.1 -0.10
C 0.461106 -1.715196 3.246520 0.2 0.0 -0.1 -0.23
C -0.473597 -1.936386 4.246475 0.0 0.0 0.0 -0.03
C -1.524683 -1.014134 4.042640 0.0 0.0 0.1 -0.06
C -1.187078 -0.235841 2.948857 0.0 -0.1 -0.1 -0.32
C -1.676748 1.049580 2.311529 0.0 0.1 0.1 -0.26
C -2.349849 2.045893 3.247622 0.0 0.0 0.0 -0.17
C -2.466252 1.849255 4.628492 0.0 0.0 0.0 -0.03
C -2.989745 2.819759 5.474711 0.0 0.0 0.0 -0.09
C -3.415814 4.039488 4.979208 0.0 0.0 0.0 -0.11
C -3.279827 4.277964 3.619085 0.0 0.0 0.0 -0.08
C -2.751413 3.309834 2.782540 0.1 0.1 0.0 -0.08
C -2.461090 0.598743 0.999437 0.0 0.0 0.0 -0.34
N -1.516410 -0.094714 0.091761 0.0 -0.1 0.1 -0.04
C -2.101987 -1.316779 -0.297206 0.0 0.2 0.1 -0.25
C -1.629985 -2.201305 -1.218633 0.0 -0.1 0.0 -0.11
C -2.461920 -3.372216 -1.592818 0.0 0.0 0.0 -0.18
C -1.932973 -4.665422 -1.573919 0.0 0.0 0.0 -0.03
C -2.707650 -5.759005 -1.925625 0.0 0.0 0.0 -0.09
C -4.032139 -5.587347 -2.311016 0.0 0.0 0.0 -0.11
C -4.571174 -4.309931 -2.340252 0.0 0.0 0.0 -0.09
C -3.790336 -3.216021 -1.990846 0.0 0.0 0.0 -0.05
C -0.316224 -2.119425 -1.824663 -0.1 0.2 0.1 -0.26
C 0.199013 -2.776264 -2.942131 0.1 0.0 0.0 -0.06
C 1.558611 -2.444454 -3.019392 -0.1 0.0 0.0 -0.04
C 1.831384 -1.617042 -1.924316 0.1 0.0 0.1 -0.28
N 0.676087 -1.387886 -1.231237 -0.1 -0.3 -0.4 -0.01
C 3.127517 -1.406216 -1.311424 0.0 0.1 0.0 -0.13
C 3.268148 -1.317687 0.042791 0.0 0.0 0.2 -0.26
C 4.485562 -1.552604 0.820518 0.0 0.0 -0.1 -0.01
C 4.119801 -1.859978 2.074468 0.0 0.0 0.0 0.00
C 2.669617 -1.710072 2.172474 0.1 0.1 0.0 -0.23
N 2.204345 -1.212552 0.955306 0.0 -0.2 -0.2 -0.02
C 4.300923 -1.490469 -2.215880 0.0 0.0 0.0 -0.17
C 5.308688 -2.443659 -2.067550 0.0 0.0 0.0 -0.04
C 6.390638 -2.485020 -2.938022 0.0 0.0 0.0 -0.09
C 6.480177 -1.585665 -3.989734 0.0 0.0 0.0 -0.11
C 5.464280 -0.655682 -4.175303 0.0 0.0 0.0 -0.09
C 4.387563 -0.616506 -3.303979 0.0 0.0 0.0 -0.03
C -3.270789 -1.548606 0.553310 0.0 -0.1 0.0 0.01
C -3.445143 -0.507044 1.352209 -0.1 0.0 0.0 -0.02
N -0.026263 -0.737745 2.402277 -0.1 0.1 0.4 -0.07
H 3.847811 -4.419100 7.607967 0.0 0.0 0.0 0.09
H 2.220225 -5.616221 6.174652 0.0 0.0 0.0 0.10
H 1.325695 -4.528746 4.144273 0.0 0.0 0.0 0.12
H 3.638652 -1.044267 4.972601 0.0 0.0 0.0 0.12
H 4.563073 -2.127470 6.992835 0.0 0.0 0.0 0.09
H -0.367535 -2.619805 5.074393 0.0 0.0 0.0 0.09
H -2.408654 -0.929824 4.652936 0.0 0.0 0.0 0.09
H -2.103917 0.938210 5.069619 0.0 0.0 0.0 0.08
H -3.052421 2.611094 6.536477 0.0 0.0 0.0 0.10
H -3.824078 4.796491 5.637735 0.0 0.0 0.0 0.09
H -3.576415 5.230745 3.195812 0.0 0.0 0.0 0.10
H -2.635254 3.561213 1.739840 0.1 0.1 0.1 0.09
H -0.901348 -4.798952 -1.273470 0.0 0.0 0.0 0.12
H -2.277471 -6.753076 -1.893847 0.0 0.0 0.0 0.10
H -4.636252 -6.442964 -2.587761 0.0 0.0 0.0 0.09
H -5.601077 -4.161089 -2.642997 0.0 0.0 0.0 0.09
H -4.210718 -2.217542 -2.021258 0.0 0.0 0.0 0.11
H -0.356399 -3.422085 -3.604581 0.0 0.0 0.0 0.10
H 2.288419 -2.820949 -3.720943 0.0 0.0 0.0 0.10
H 5.485853 -1.560007 0.419553 0.0 0.0 0.0 0.10
H 4.760763 -2.176369 2.882451 0.0 0.0 0.0 0.10
H 5.225094 -3.174335 -1.273889 0.0 0.0 0.0 0.12
H 7.158657 -3.236792 -2.799873 0.0 0.0 0.0 0.10
~~~

To do:
Print the block above from the first line to the one with "4.563073 -2.127470" without altering anything, please.

Solution:
# 1
Below is C63H53N7SSi2Ti as an isolated structure, with properties calculated with the ωB97M-V functional and the def2-TZVPD basis.

Relative energy (zero: lowest compared OMol25 entry of this formula, charge and spin)   0.0 kcal per mole
2S+1   2
E_HOMO (alpha / beta)   -0.1083 / -0.1123 Eh
Frontier orbital gap (alpha / beta)   5.1298 / 5.2346 eV
Charge   -1
DFT total energy   -126332.31475 eV
Max |F|   0.72 eV Å⁻¹

```
127
Properties=species:S:1:pos:R:3:forces:R:3:lowdin_charge:R:1
Ti 0.444983 -0.311659 0.494287 0.4 0.5 -0.2 0.85
C 3.455090 -3.944819 6.716852 0.0 0.0 0.0 -0.11
C 2.539347 -4.613820 5.914822 0.0 0.0 0.0 -0.09
C 2.034787 -4.005958 4.775057 0.0 0.0 0.0 -0.04
C 2.431060 -2.717423 4.414344 0.0 0.0 0.0 -0.19
C 3.342216 -2.053597 5.233243 0.0 0.0 0.0 -0.04
C 3.855778 -2.662779 6.370347 0.0 0.0 0.0 -0.09
C 1.866397 -2.066668 3.205731 -0.1 0.0 0.1 -0.10
C 0.461106 -1.715196 3.246520 0.2 0.0 -0.1 -0.23
C -0.473597 -1.936386 4.246475 0.0 0.0 0.0 -0.03
C -1.524683 -1.014134 4.042640 0.0 0.0 0.1 -0.06
C -1.187078 -0.235841 2.948857 0.0 -0.1 -0.1 -0.32
C -1.676748 1.049580 2.311529 0.0 0.1 0.1 -0.26
C -2.349849 2.045893 3.247622 0.0 0.0 0.0 -0.17
C -2.466252 1.849255 4.628492 0.0 0.0 0.0 -0.03
C -2.989745 2.819759 5.474711 0.0 0.0 0.0 -0.09
C -3.415814 4.039488 4.979208 0.0 0.0 0.0 -0.11
C -3.279827 4.277964 3.619085 0.0 0.0 0.0 -0.08
C -2.751413 3.309834 2.782540 0.1 0.1 0.0 -0.08
C -2.461090 0.598743 0.999437 0.0 0.0 0.0 -0.34
N -1.516410 -0.094714 0.091761 0.0 -0.1 0.1 -0.04
C -2.101987 -1.316779 -0.297206 0.0 0.2 0.1 -0.25
C -1.629985 -2.201305 -1.218633 0.0 -0.1 0.0 -0.11
C -2.461920 -3.372216 -1.592818 0.0 0.0 0.0 -0.18
C -1.932973 -4.665422 -1.573919 0.0 0.0 0.0 -0.03
C -2.707650 -5.759005 -1.925625 0.0 0.0 0.0 -0.09
C -4.032139 -5.587347 -2.311016 0.0 0.0 0.0 -0.11
C -4.571174 -4.309931 -2.340252 0.0 0.0 0.0 -0.09
C -3.790336 -3.216021 -1.990846 0.0 0.0 0.0 -0.05
C -0.316224 -2.119425 -1.824663 -0.1 0.2 0.1 -0.26
C 0.199013 -2.776264 -2.942131 0.1 0.0 0.0 -0.06
C 1.558611 -2.444454 -3.019392 -0.1 0.0 0.0 -0.04
C 1.831384 -1.617042 -1.924316 0.1 0.0 0.1 -0.28
N 0.676087 -1.387886 -1.231237 -0.1 -0.3 -0.4 -0.01
C 3.127517 -1.406216 -1.311424 0.0 0.1 0.0 -0.13
C 3.268148 -1.317687 0.042791 0.0 0.0 0.2 -0.26
C 4.485562 -1.552604 0.820518 0.0 0.0 -0.1 -0.01
C 4.119801 -1.859978 2.074468 0.0 0.0 0.0 0.00
C 2.669617 -1.710072 2.172474 0.1 0.1 0.0 -0.23
N 2.204345 -1.212552 0.955306 0.0 -0.2 -0.2 -0.02
C 4.300923 -1.490469 -2.215880 0.0 0.0 0.0 -0.17
C 5.308688 -2.443659 -2.067550 0.0 0.0 0.0 -0.04
C 6.390638 -2.485020 -2.938022 0.0 0.0 0.0 -0.09
C 6.480177 -1.585665 -3.989734 0.0 0.0 0.0 -0.11
C 5.464280 -0.655682 -4.175303 0.0 0.0 0.0 -0.09
C 4.387563 -0.616506 -3.303979 0.0 0.0 0.0 -0.03
C -3.270789 -1.548606 0.553310 0.0 -0.1 0.0 0.01
C -3.445143 -0.507044 1.352209 -0.1 0.0 0.0 -0.02
N -0.026263 -0.737745 2.402277 -0.1 0.1 0.4 -0.07
H 3.847811 -4.419100 7.607967 0.0 0.0 0.0 0.09
H 2.220225 -5.616221 6.174652 0.0 0.0 0.0 0.10
H 1.325695 -4.528746 4.144273 0.0 0.0 0.0 0.12
H 3.638652 -1.044267 4.972601 0.0 0.0 0.0 0.12
H 4.563073 -2.127470 6.992835 0.0 0.0 0.0 0.09